Top 5 CMS best practices for video streaming platforms

This article will take a look at some of the best practices for content management of video streaming and other content rich applications.

Jing Li
Jing Li
Top 5 CMS best practices for video streaming platforms

Video content was responsible for 65% of all internet traffic in 2022, according to a report on usage data of global service providers, and business models based on live or on-demand video streaming can be found in many industries. Across entertainment, gaming, education, fitness, virtual events, research firms, and government agencies there are organizations that rely on managing and monetizing high volumes of data.

As they tend to deal with multimedia data from many sources, streaming-based businesses can quickly outgrow the capabilities of homebrew content solutions or inflexible content management systems (CMS) designed for more traditional websites. Increasingly, companies with content rich applications are adopting a composable approach to their media platform. This allows them to create a stack of best-fit tools and services for different parts of the platform, with the flexibility to connect and structure data in the way that makes business sense.

This modular approach gives companies a high level of flexibility in creating a streaming platform, but it can be a challenge to orchestrate all the data that lives in different systems and media libraries. This article will take a look at some of the best practices for content management of video streaming and other content rich applications.

Editor's Note

For a more technical look at what a modern streaming platform might look like using AWS, Apache Kafka, and Hygraph CMS check out our previous article on video streaming architecture.

/*
DFT (GGA-PBE) results for crystalline PrEr5Tm6 at its relaxed geometry.

The crystal system is monoclinic. For the energy, the calculation gives -0.1657 Ha/atom.

The space group is C2/m (No. 12) and the conventional cell measures 6.085, 10.530 and 11.642 Å, with angles of 90.00, 100.02 and 90.00 degrees. The inequivalent atoms are Pr at (0.000, 0.000, 0.000), Er at (0.000, 0.167, 0.500), Er at (0.000, 0.333, 0.000), Er at (0.000, 0.500, 0.500), Tm at (0.249, 0.333, 0.748) and Tm at (0.249, 0.500, 0.252).
*/
== End of the data records ==

1. Master metadata to maximize the value of contentAnchor

The ability to find a video with ease is a critical part of the streaming experience. Good metadata management creates a better user experience, extends the lifetime of each piece by relating it to other content, improves the efficiency of internal processes, and provides more accurate business insights.

Video metadata can cover a wide range of needs, including:

  • Data that helps users and search engines find the right content such as descriptions, genres, language, and relations to other media in a series or course.
  • Accessibility data like alt text and captions.
  • Technical information on the format, structure, and lineage of data.
  • Rules around business processes, data quality, and digital rights management.

For metadata to be useful it has to be consistent. If assets are labeled “home kitchen” in the video library, “recipes” in the CMS, and “cooking classes” in the eCommerce system it can take a lot of manual work to piece the right data together. Jumping in and out of different systems to align metadata isn’t very practical, and an API-based CMS can be used as a base where metadata from all systems is pulled into one central place where teams can easily manage it.

For example, Telenor is a Norwegian multinational TelCo company that offers a video streaming service with content from several local television stations. The team uses Hygraph CMS to create a unified metadata structure to efficiently add and categorize two thousand new videos a month that come from many different sources. The bulk of the work is done programmatically, and when manual changes do need to be made the content team has a user interface (UI) where they can review, add, and edit the metadata of any piece of content.

2. Preschedule publishing for peace of mindAnchor

Getting content out at the right time is also important. Customers might expect a certain publishing schedule, there can be time sensitive content for launches and live events, and content might be scheduled differently across time zones and markets. A modern CMS will let you schedule content to be automatically published, and unpublished, so your team isn’t tied to the computer at all hours of the day.


It can be helpful to bundle content into defined releases such as “summer fitness campaign”, “new game launch”, or “Spanish language updates”. Setting up these release bundles in the CMS helps create more internal transparency by providing a bird’s-eye view of all content that’s part of a campaign. It also gives teams more peace of mind by being able to stage and test content ahead of time and ensure that all pieces are released simultaneously.

3. Strengthen content security with roles and permissionsAnchor

In a media-based business many people contribute to the content process. Different internal teams, partnering content creators, translation agencies, and other external support staff can all be working in the CMS and setting up granular roles and permissions is key for content security.

Setting up standard roles helps avoid human error by defining which people can view, create, edit, and publish certain content. It also simplifies onboarding and the editing experience by only giving people the access and actions needed to do their job.


Granular permissions are especially crucial for companies that work with confidential information. For example, when gamescom hosted the world’s largest gaming conference virtually in 2021 they had over 200 external content contributors from brands like Microsoft Xbox, Ubisoft, and Bandai Namco all adding confidential launch information into Hygraph CMS. Granular permissions were created so that each user was only able to search for, view, and edit their own content to ensure that no information was leaked. Each brand’s content was bundled into time sensitive releases and launched over the 3 day event to more than 3.5 million virtual attendees.

4. Structure content to enable both engineering and editorial teamsAnchor

Companies that need to deliver high volumes of media, from many sources, to multiple channels, in new and engaging ways can find that their CMS becomes a bottleneck. With a traditional, one-size-fits-all CMS, content teams are often stuck using rigid templates and have to ask a developer to make even the smallest change. On the other side of the spectrum, custom in-house solutions often start out very flexible but over time become so hard to scale that engineers spend the majority of their time just maintaining the status quo.

A headless CMS can make life easier for both engineering and content teams. With headless, content is stored in a neutral way on the backend so that it isn’t tied to any specific frontend presentation (the head).

This gives engineers a lot of flexibility to connect various backend systems and create unique data models, while also taking advantage of the CMS vendor’s foundational architecture for performance and scale.

For editorial teams, a modern headless CMS makes it easier to work with many data types and sources to create engaging content that can be reused on any channel. Additionally, because content is highly structured, teams can create custom workflows, improve localization, leverage more automations, and strengthen content governance.

For instance, Statistics Finland uses Hygraph headless CMS to provide key national statistics on populations, housing prices, financial indicators, and more. A headless approach allows the team to structure large amounts of statistical data so it can be easily queried, turned into dynamic tables and graphs, enriched with editorial content, and reused across multiple channels. A clear data structure also allows for very granular permissions so that the team can create workflows that are both efficient and compliant with strict government regulations.

5. Connect your data sources into a unified content modelAnchor

As companies add more tools and services to the tech stack, there is an increased risk of content silos. Content rich applications need an efficient way to orchestrate data without clunky middleware, expensive migrations, or data duplication.

Hygraph makes this happen through a process called Content Federation, where data from all backend sources is unified in the CMS with a global schema so that all necessary data can be sent to a frontend using a single GraphQL API call. Taking advantage of the performance benefits that come from the ability of GraphQL APIs to provide just the information needed.

With Hygraph’s Content Federation, data continues to be owned by the original source and as soon as it’s updated in that system the changes are reflected in the Hygraph API. This allows developers to bring together multiple systems without worrying about duplication, and gives content teams access to always up-to-date information in one place.

The education technology company, 2U, uses Hygraph’s Content Federation to manage videos and brand assets of partnering universities to deliver online education. Federation allows the organization to efficiently bring together the various data sources of each university to offer over 500 online classes to more than 300 thousand students across the globe.

Implementing CMS best practices for video streaming with HygraphAnchor

Hygraph is a next-generation content management platform that offers the Content Federation, metadata management, flexible scheduling, granular permissions, and efficient tools for engineers and content creators that are needed to deliver outstanding content rich applications like video streaming. If you’d like to learn more about how Hygraph can accelerate the next phase of your business, one of our experts would be happy to have a chat.